# Brief
Reproduce the part of the calculation results further below that starts with the line with "-3.99837" and stops after the one with "0.09833 3.26149".

# Source
=====
No. 1
Below is a cluster of 3 separate species, C3H9N2O in total at a distorted geometry, with properties calculated with ωB97M-V/def2-TZVPD.

```
! RIJCOSX wB97M-V def2-TZVPD def2/J DEFGRID3
* xyz 1 1
C -2.51970 0.28402 -0.49389
C -1.84882 0.74253 0.55156
C -0.46446 0.57908 0.42557
N 0.53411 0.26918 -0.05192
N 3.03298 0.63364 -0.66388
O -0.89740 -1.89811 0.90857
H -3.58075 0.71120 -0.56166
H -2.08464 -0.34041 -1.24622
H -2.39218 1.45000 1.18251
H 3.62058 -0.18552 -0.42503
H 1.62089 0.36660 -0.28326
H 3.06881 0.74356 -1.64585
H 3.44985 1.44942 -0.17061
H -1.25298 -2.81147 0.83452
H -0.28629 -1.99371 1.63957
*
```

The value obtained for the LUMO energy is -3.9 eV. The value obtained for the energy above the lowest of the compared OMol25 structures with the same formula, charge and spin is 59.69 kcal per mole. The HOMO-LUMO gap comes out at 10.79 eV. As for the HOMO energy: -14.71 eV.

natural (NBO) population analysis, charges in e, atoms 1 to 6: atom 1 (C): -0.173, atom 2 (C): -0.395, atom 3 (C): 0.598, atom 4 (N): -0.421, atom 5 (N): -1.030, atom 6 (O): -0.965


No. 2
Below is a structure of composition C19H22ClNSm at a distorted geometry, with properties calculated with ωB97M-V/def2-TZVPD.

```
! RIJCOSX wB97M-V def2-TZVPD def2/J DEFGRID3
* xyz -1 6
C 0.81147 -1.51193 0.07745
C 0.93921 -1.75632 -1.32127
C -0.37242 -1.95439 -1.84412
H 1.88620 -1.79905 -1.86667
C -1.32241 -1.82064 -0.77335
C -0.56892 -1.58262 0.41929
H -0.94321 -1.47328 1.42880
H 1.62302 -1.28776 0.76214
H -0.60074 -2.20604 -2.88439
H -2.40864 -1.91147 -0.86031
Sm -0.26990 0.57534 -1.14137
Cl 1.58182 2.03975 -0.28230
C -0.00130 2.27949 -3.01463
C -1.23704 1.61574 -3.31130
C -0.91296 0.40056 -3.99837
H -2.23411 2.02719 -3.15735
C 0.50174 0.31836 -4.12059
C 1.07149 1.45598 -3.48582
H 2.12715 1.73043 -3.50096
H 0.09833 3.26149 -2.56095
H -1.62443 -0.23839 -4.51874
H 1.04456 -0.40676 -4.72742
C -1.17405 1.16467 6.02833
N -1.06068 0.05960 5.10674
C -0.41587 -1.07971 5.71184
C -0.76062 0.44688 3.69221
C -1.96600 0.64007 2.79397
C -3.24364 0.64413 3.40310
C -4.41043 0.76449 2.64083
C -4.31874 0.94856 1.26582
C -3.01965 1.04898 0.67610
C -1.87840 0.82934 1.41833
H -1.62156 0.86348 6.99168
H -1.78126 1.95324 5.57213
H -0.18736 1.60018 6.26498
H -0.45120 -1.92207 5.01897
H 0.63901 -0.87818 5.96076
H -0.93151 -1.36753 6.64499
H -0.25380 1.43286 3.73798
H -0.06184 -0.28046 3.24577
H -3.27652 0.46892 4.48023
H -5.39004 0.72745 3.11142
H -5.21859 1.06506 0.65458
H -2.92696 1.31604 -0.38832
*
```

As for the expectation value of S²: 8.77. The value obtained for the LUMO energy (spin up / spin down) is 2.7 / 2.7 eV. The HOMO-LUMO gap (spin up / spin down) comes out at 6.44 / 6.47 eV. As for the HOMO energy (spin up / spin down): -3.69 / -3.72 eV.

natural (NBO) population analysis, charges in e, atoms 1 to 6: atom 1 (C): -0.358, atom 2 (C): -0.354, atom 3 (C): -0.335, atom 4 (H): 0.231, atom 5 (C): -0.378, atom 6 (C): -0.287


No. 3
Below is an isolated molecule of C10H19N3O4 at a distorted geometry, with properties calculated with ωB97M-V/def2-TZVPD.

```
! RIJCOSX wB97M-V def2-TZVPD def2/J DEFGRID3
* xyz 0 1
C 2.57433 2.71710 0.16336
C 2.95362 1.27874 0.18033
C 3.47596 0.82077 1.55457
C 1.97228 0.34729 -0.41977
N 0.74402 0.02213 0.31674
C -0.38462 -0.37874 -0.31716
O -0.53257 -0.23696 -1.49688
C -1.37850 -1.07289 0.65325
N -0.56983 -1.94432 1.48528
C -2.12397 -0.05590 1.47502
C -2.92790 0.93646 0.57612
C -3.94884 0.32542 -0.37618
N -4.46162 1.34519 -1.16292
O -4.43226 -0.75802 -0.22787
C 2.62370 -0.93215 -0.77665
O 2.40343 -1.96358 -0.18529
O 3.47386 -0.84865 -1.81895
H 3.23240 3.37783 0.71496
H 2.37068 3.03620 -0.89486
H 1.61450 2.71701 0.63866
H 3.87005 1.09880 -0.33202
H 2.77734 0.96368 2.40651
H 4.41497 1.37420 1.83675
H 3.57303 -0.31992 1.51697
H 1.63129 0.69276 -1.35787
H 0.83880 -0.36755 1.25348
H -2.02336 -1.65583 -0.04576
H 0.33371 -2.18657 1.08479
H -0.98148 -2.86022 1.68294
H -1.53580 0.55994 2.13656
H -2.88858 -0.59098 2.10928
H -2.17728 1.57116 0.07870
=====

# Result
C -0.91296 0.40056 -3.99837
H -2.23411 2.02719 -3.15735
C 0.50174 0.31836 -4.12059
C 1.07149 1.45598 -3.48582
H 2.12715 1.73043 -3.50096
H 0.09833 3.26149 -2.56095